What is Electrocoagulation Water Treatment System Tank?

What is Electrocoagulation Water Treatment System Tank?

Electrocoagulation Water Treatment System

The electrocoagulation water treatment system process is based on valid scientific principles involving responses of water contaminants to strong electric fields and electrically induced oxidation and eduction reactions. This process is able to take out over 99 percent of some heavy metal cations and also able to precipitate charged colloids and remove significant amounts of other ions, colloids, and emulsions. Electrocoagulation water treatment system is based on the reactive anodes principle. It is a question of generating metallic cations (Al3+ or Fe3+) in wastewater by imposing a D.C. current between the electrodes. These cations act as a coagulant and lead to the destabilization of suspended particles and colloidal structure.

During the treatment, electrolysis reactions between the electrodes make it possible to produce micro bubbles. These finely divided bubbles drag suspended matter with them as they rise to the surface: hydrocarbons, oils, greases and colloids. At the end of the process, treated and decontaminated water is obtained. Electrocoagulation water treatment system is a technology that can be useful to all industries generating mineral or organic pollution. This Technology is ideally suitable for treating Textile Dyes Effluent

electrocoagulation water treatment
Electrocoagulation water treatment

Electrocoagulation is the process of destabilizing suspended, emulsified or dissolved contaminants in an aqueous medium by introducing an electrical current into the medium. The electrical current provides the electromotive force to drive the chemical reactions. When reactions are driven or forced, the elements or compounds will approach the most stable state. Generally, this state of stability produces a solid that is either less colloidal and less emulsified (or soluble) than the compound at equilibrium values. As this occurs, the contaminants form hydrophobic entities that precipitate and can easily be removed by a number of secondary separation techniques.

Electrocoagulation is an Unique and Latest technology successfully implemented in Developed and Developing Countries. The Advantages of electrocoagulation water treatment system ETP are as follows.

No addition of Chemicals, Lime or Ferric.

Very Low Operating Cost.

Less requirement of Space and Civil Construction.

Easy to maintain and operate.

_Misplaced data records_
1.
C40H54As2BrCaF6N2O2S2Si | wB97M-V/def2-TZVPD

Structure (XYZ):
```
111
Properties=species:S:1:pos:R:3:forces:R:3:mulliken_charge:R:1
Ca 0.302 0.349 -0.054 -0.032 -0.409 0.780 0.11
S 0.288 1.837 3.020 0.060 -0.026 0.057 -0.21
C 1.715 1.402 3.846 -0.031 -0.061 -0.293 0.44
S 2.800 1.075 2.574 -0.066 0.221 0.099 -0.24
C 1.944 1.367 5.206 -0.194 0.009 -0.492 0.54
C 0.917 1.685 6.121 -0.392 0.095 0.341 -0.03
N 0.088 1.939 6.883 0.036 0.000 -0.023 -0.62
C 3.205 1.015 5.725 0.551 -0.128 0.208 -0.07
N 4.235 0.737 6.166 -0.026 -0.011 -0.004 -0.62
C 4.931 -0.133 -6.856 -0.019 0.004 -0.018 -2.14
C 5.228 -0.226 -5.359 0.014 -0.004 0.018 2.19
C 6.060 -1.494 -5.120 0.008 0.004 -0.021 -1.75
C 6.059 1.002 -4.959 0.000 -0.032 -0.008 -1.68
C 3.953 -0.273 -4.520 0.046 0.013 0.059 -0.22
C 4.042 -0.460 -3.139 -0.050 -0.004 -0.026 -0.58
C 2.905 -0.466 -2.369 -0.013 -0.023 -0.240 0.20
Br 3.082 -0.729 -0.488 0.179 0.042 -0.118 -0.18
C 1.589 -0.278 -2.885 0.458 0.012 0.080 0.30
O 0.571 -0.257 -2.103 0.281 -0.216 0.393 0.28
C 1.509 -0.110 -4.287 0.158 -0.096 -0.122 -0.79
C 2.680 -0.105 -5.046 -0.104 -0.031 0.084 -0.29
C 0.170 0.068 -5.002 -0.104 0.077 -0.094 2.94
C 0.152 1.424 -5.733 -0.026 -0.115 0.063 -1.89
C -0.034 -1.072 -6.019 -0.032 0.126 0.104 -1.87
C -1.027 0.050 -4.049 -0.359 0.043 -0.078 -2.47
H 5.869 -0.149 -7.416 0.031 0.009 -0.014 0.44
H 4.409 0.791 -7.106 -0.019 0.021 0.006 0.36
H 4.320 -0.971 -7.196 -0.007 -0.038 -0.001 0.40
H 6.949 -1.496 -5.757 0.018 0.014 -0.005 0.46
H 5.473 -2.387 -5.340 -0.022 -0.020 -0.025 0.36
H 6.392 -1.564 -4.085 -0.002 -0.005 0.049 0.33
H 6.999 1.035 -5.517 0.019 -0.004 -0.028 0.44
H 6.295 0.984 -3.895 0.012 -0.007 0.036 0.35
H 5.503 1.919 -5.158 -0.022 0.026 -0.002 0.36
H 5.001 -0.593 -2.656 0.032 -0.007 0.028 0.46
H 2.582 0.045 -6.112 -0.057 0.004 -0.104 0.25
H 0.911 1.477 -6.513 0.094 -0.006 -0.064 0.32
H 0.333 2.233 -5.025 -0.009 0.007 0.030 0.29
H -0.823 1.587 -6.200 -0.017 -0.017 -0.010 0.50
H 0.750 -1.098 -6.774 0.121 0.029 -0.072 0.29
H -0.992 -0.948 -6.532 -0.020 0.012 -0.002 0.47
H -0.042 -2.038 -5.513 0.002 -0.014 0.042 0.34
H -0.964 0.846 -3.306 -0.101 -0.090 -0.214 0.05
H -1.101 -0.893 -3.505 -0.063 0.095 -0.108 0.14
H -1.935 0.186 -4.643 -0.107 0.016 -0.114 0.70
C 0.899 -4.340 3.961 -0.043 -0.102 0.014 -2.11
C 0.890 -3.015 3.201 -0.094 0.029 -0.099 2.73
C 2.321 -2.492 3.102 0.065 -0.070 0.076 -1.31
C 0.051 -2.022 4.014 0.002 0.054 0.030 -1.55
Si 0.137 -3.036 1.444 -0.003 -0.053 -0.266 -2.57
O -0.211 -1.586 0.881 0.084 0.124 0.188 2.76
C 1.253 -3.949 0.192 -0.148 -0.041 0.187 0.74
C 2.071 -5.042 0.468 0.073 -0.036 0.155 -0.01
C 2.794 -5.687 -0.527 0.048 -0.077 0.049 -0.68
C 2.706 -5.251 -1.839 0.045 -0.036 -0.079 -0.69
C 1.889 -4.172 -2.143 0.008 0.020 -0.100 -0.22
C 1.174 -3.538 -1.139 -0.068 0.128 -0.104 -0.34
C -1.450 -4.101 1.411 0.126 0.023 0.003 0.04
C -1.548 -5.426 1.838 0.118 -0.033 0.025 -0.46
C -2.713 -6.160 1.683 0.001 -0.104 0.033 -0.83
C -3.820 -5.588 1.075 -0.090 -0.032 -0.020 -0.71

Colour Removal more than 95%.

Electrocoagulation Water Treatment Process

Electrochemical techniques are important for the treatment of Textile   wastewater because they present high efficiency, easy operation and environmental compatibility; this process involves in sit generation of coagulants by electrolytic oxidation of a sacrificial anode (iron) by applying a direct current. The most widely used electrode materials in electro coagulation process are  iron. The hydrolyzed iron  ions can form long chains of Fe-O-Fe-OH which may chemically adsorb a large amount of contaminating .For most applications a proper removal of all impurities ( Physical, biological and Dissolved impurities) of the water reused, is required.

After biological treated water is secondary clarifier  and remove suspended particles and fed in to electrocoagulation water treatment system. The electro coagulation process works at  input feed  PH is 6.0 to 8.0 and conductivity >2000 milligrams/litre. Before and after were monitored for color, turbidity, pH and chemical oxygen demand reduction efficiency. Normally electro coagulation process  reduces  COD  50 to 60 %  from input COD of  electrocoagulation water treatment system process .

Working principle

  • Dissolution of metal ions from an electrode by applied potential.
  • Simultaneous evolution of H2 gas bubbles.
  • Destabilisation of suspension coagulation.
  • H2 bubbles promote flotation, but also sedimentation may occur.
  • Pair(s) of Fe or Al parallel plate electrodes separated by a few mm.

Electrocoagulation Chemical reaction

Electrocoagulation Chemical reaction

Main reactions occurring at the electrodes are:

Electrocoagulation Chemical reaction 1

In addition, Fe3+ and  OH- ions generated at electrode surfaces react in the bulk waste water to form ferric hydroxide:

The iron hydroxide flocs act as adsorbents  and /or traps for pollutants and so eliminate them from solution.

Attached: data records >
~~~
No. 1
Molecular formula: C37H31Br2LuN8O4PS8
Method: DFT, wB97M-V/def2-TZVPD

Geometry as XYZ:
```
92
Properties=species:S:1:pos:R:3:forces:R:3:mulliken_charge:R:1
Lu 1.792839 0.172782 -0.298668 1.54 0.41 0.67 2.2579
S 4.520296 0.749489 -2.702598 -0.21 0.17 0.10 -0.1139
S 4.876246 -1.143178 -2.078567 0.13 0.06 0.09 -0.1011
S 5.953274 -0.861094 -0.334820 0.00 -0.07 0.14 -0.1692
S 4.638606 -0.202905 1.133867 0.15 -0.03 -0.07 -0.1990
O 1.294108 0.209528 -2.554065 0.10 0.29 -0.22 -0.3094
S 1.336975 1.748774 -2.609349 -0.81 -0.25 -0.01 -0.1040
O 0.994515 2.147129 -1.159494 0.04 -0.02 -0.51 -0.4916
O 3.483684 1.318903 -1.589190 -0.01 -0.42 0.12 -0.7572
C -0.295558 2.122644 -3.321578 -0.14 -0.06 0.09 1.1200
C -0.338733 3.231088 -4.151872 -0.06 -0.05 -0.04 -0.5994
C -1.557052 3.710932 -4.616969 -0.03 -0.03 0.02 -0.8080
C -2.728610 3.074434 -4.236698 0.05 -0.02 0.01 -0.7582
C -2.679634 1.956348 -3.408989 -0.02 0.01 0.00 -0.4380
C -1.468673 1.454749 -2.941453 0.20 0.03 0.04 -0.3100
P -1.348559 -0.065383 -1.863812 -0.44 0.02 -0.35 2.4240
C -1.665033 -1.325598 -3.173276 -0.12 0.02 0.01 0.5262
C -2.861879 -1.444369 -3.885001 0.02 0.01 -0.03 -0.2793
C -3.008817 -2.397664 -4.880007 0.08 -0.03 0.01 -0.9308
C -1.952169 -3.249801 -5.187101 -0.01 0.05 0.04 -0.6482
C -0.753146 -3.129634 -4.501874 -0.03 0.02 0.02 -0.7975
C -0.609634 -2.171807 -3.503378 0.08 0.02 0.05 -0.4337
C -2.958449 0.102855 -0.973056 0.28 0.35 0.14 -0.8755
C -3.959994 -0.771084 -0.945587 -0.34 -0.12 0.04 -0.2221
C -5.155753 -0.567095 -0.110555 0.18 -0.10 -0.26 -0.7840
C -5.259659 0.445855 0.741986 0.07 0.17 0.10 -1.0072
C -4.119150 1.380006 1.024684 -0.01 -0.12 -0.11 -0.1728
C -2.977392 1.326030 -0.041007 0.03 -0.11 0.13 -1.2407
H 0.589334 3.723360 -4.423760 -0.01 -0.01 0.01 0.4735
H -1.591590 4.579509 -5.262830 0.00 -0.01 -0.01 0.3766
H -3.685333 3.442954 -4.586172 -0.01 0.00 0.00 0.4023
H -3.606238 1.469969 -3.120129 0.02 0.00 0.00 0.2123
H -3.689499 -0.781412 -3.668959 0.00 0.02 0.01 0.3358
H -3.944914 -2.471012 -5.421163 0.01 -0.01 0.01 0.4208
H -2.064356 -3.996509 -5.964183 0.00 0.01 0.01 0.3817
H 0.080664 -3.779284 -4.737918 -0.01 0.02 -0.01 0.4604
H 0.341715 -2.062794 -2.996459 -0.09 -0.02 0.00 0.3749
H -3.923210 -1.659582 -1.563465 -0.03 0.01 -0.01 0.5521
H -5.986563 -1.252746 -0.232019 0.04 -0.02 0.00 0.4119
H -6.156043 0.583509 1.335277 0.03 -0.01 0.02 0.3885
H -4.480477 2.406170 1.118380 -0.01 0.01 -0.10 0.6307
H -3.081941 2.203356 -0.687711 -0.03 0.04 0.05 0.9892
Br 4.057858 -4.537316 -0.640743 0.01 0.03 -0.02 -0.2091
C 3.377399 -3.718299 0.927907 0.15 -0.33 0.21 0.1826
C 3.589539 -4.392482 2.147873 0.03 0.03 -0.22 -0.2363
C 3.132170 -3.867298 3.311217 -0.07 0.11 0.07 -0.1240
Br 3.410479 -4.836280 4.927537 -0.01 0.04 -0.03 -0.2835
C 2.445870 -2.623188 3.322839 0.02 -0.06 0.14 1.4537
C 1.943002 -2.000461 4.483657 0.08 -0.15 0.04 -1.4037
C 1.308266 -0.799926 4.389195 -0.07 0.16 -0.05 -1.5372
C 1.166784 -0.200656 3.125674 -0.01 -0.04 0.15 -0.4842
~~~

Electrocoagulation Merits

Overall, compared to conventional methods of treating wastewater involving physical and biological processes, electrocoagulation water treatment system is generally considered far more effective in removing pollutant. Not only that, it is also compact and space-saving and while there are arguments in terms of cost calculation, but however, to most experts’ opinion, it is actually cheaper to maintain in the long run.

Electro coagulation process (using iron electrodes) is a reliable, efficient and cost- effective method. quickest removal rate  with the lowest cost.

Before start up EC PROCESS the operator must check EC input effluent PH ,it should be always greater than 6.5 and less than 8.5.

EC operates at PH  6.5 TO 8.5 .

Every day before start up, EC the operator must clean EC skid with HCl. The operator should maintain the PH of the diluted Acid as less than 2.0. If the cleaning acid PH greater than 2.0, must drain old acid(high PH acid > 2.0)  and fill new hydro choleric acid  and clean EC skid.

Every day  The operator’s every one hour once give air circulation in to EC SKID .

Before start EC skid the operator must prepare poly electrolyte dosing chemical.

The operator must  dose poly electrolyte 2 to 2.5 ppm in EC outlet water.

Every day The operator always take chemical stock list and material stock list (EC PLATES ).

If EC plant stop, the operator must drain EC skid water and  well rinse EC SKID with treated water .

Every day the operators note EC voltage and current value and record it separate  log sheet.

The operator every one hours once check EC TREATED WATER QUALITY. if water quality is not good increase current value and set  correct current value. IF treated water more green color present  reduced  EC skid current value and  set correct current value.


Every day once the operator must prepare poly electrocoagulation water treatment system dosing. Normally 5 to 7 days once the operators must change  used cleaning acid   or Acid PH greater than 2.0 change the cleaning acid. When EC PLATE changing  period the operator must note EC plates are sited  in the mounding grid  properly. It is very essential for any textile industry.